
由网友(握不住的沙)分享简介:相关的this问题,我想知道的算法(和实际code在Java / C / C ++ / Python的/等,如果你有!)生成的所有组合研究与 M 总元素的列表元素。有些 M 元素可以重复。Related to this question, I am wondering the algorithms (and actu...

相关的this问题,我想知道的算法(和实际code在Java / C / C ++ / Python的/等,如果你有!)生成的所有组合研究 M 总元素的列表元素。有些 M 元素可以重复。

Related to this question, I am wondering the algorithms (and actual code in java/c/c++/python/etc., if you have!) to generate all combinations of r elements for a list with m elements in total. Some of these m elements may be repeated.



下面是一个递归,我相信有密切的关系让 - 伯纳德·Pellerin的算法,在数学的。

Here is a recursion that I believe is closely related to Jean-Bernard Pellerin's algorithm, in Mathematica.


This takes input as the number of each type of element. The output is in similar form. For example:

{a,a,b,b,c,d,d,d,d} -> {2,2,1,4}


f[k_, {}, c__] := If[+c == k, {{c}}, {}]

These crystal structures were left in the piece by mistake:
+++
[1]
Theoretical X-ray powder pattern
Compound: PrEuMnWO6
Radiation: a wavelength of 1.5418 Å
Structure: a structure optimized by DFT (GGA+U)
Neutral-atom scattering factors, no anomalous dispersion.

Structural model:
```
data_PrEuMnWO6
_chemical_formula_sum 'Pr4 Eu4 Mn4 W4 O24'
_cell_length_a 8.142
_cell_length_b 8.142
_cell_length_c 8.142
_cell_angle_alpha 90.00
_cell_angle_beta 90.00
_cell_angle_gamma 90.00
_space_group_name_H-M_alt 'F -4 3 m'
_space_group_IT_number 216
_space_group_name_Hall 'F -4 2 3'
loop_
_atom_site_label
_atom_site_type_symbol
_atom_site_fract_x
_atom_site_fract_y
_atom_site_fract_z
Pr1 Pr 0.000 0.000 0.000
Eu1 Eu 0.000 0.000 0.500
Mn1 Mn 0.250 0.250 0.750
W1 W 0.250 0.250 0.250
O1 O 0.007 0.250 0.250
```

Main lines, in order of rising 2θ (5° ≤ 2θ ≤ 70°):
18.88 deg, 4.701 Å, intensity 14.7; 31.07 deg, 2.879 Å, intensity 100.0; 36.60 deg, 2.455 Å, intensity 8.0; 38.29 deg, 2.350 Å, intensity 3.7; 44.51 deg, 2.036 Å, intensity 29.1; 48.75 deg, 1.868 Å, intensity 3.4; 55.27 deg, 1.662 Å, intensity 40.0; 58.94 deg, 1.567 Å, intensity 3.1; 64.77 deg, 1.439 Å, intensity 17.9; 68.13 deg, 1.376 Å, intensity 3.1

***

[2]
Theoretical X-ray powder pattern
Compound: Eu2MnRhO6
Radiation: a wavelength of 1.5418 Å
Structure: a structure optimized by DFT (GGA+U)
Neutral-atom scattering factors, no anomalous dispersion.

Structural model:
```
data_Eu2MnRhO6
_chemical_formula_sum 'Eu4 Mn2 Rh2 O12'
_cell_length_a 5.544
_cell_length_b 5.755
_cell_length_c 9.434
_cell_angle_alpha 90.00
_cell_angle_beta 125.29
_cell_angle_gamma 90.00
_space_group_name_H-M_alt 'P 1 21/c 1'
_space_group_IT_number 14
loop_
_space_group_symop_operation_xyz
'x,y,z'
'-x,-y,-z'
'-x,y+1/2,-z+1/2'
'x,-y+1/2,z+1/2'
loop_
_atom_site_label
_atom_site_type_symbol
_atom_site_fract_x
_atom_site_fract_y
_atom_site_fract_z
Eu1 Eu 0.236 0.059 0.250
Mn1 Mn 0.500 0.000 0.000
Rh1 Rh 0.000 0.000 0.500
O1 O 0.146 0.202 0.952
O2 O 0.253 0.697 0.952
O3 O 0.351 0.029 0.755
```

Main lines, in order of rising 2θ (5° ≤ 2θ ≤ 70°):
25.03 deg, 3.557 Å, intensity 13.1; 31.08 deg, 2.878 Å, intensity 42.2; 32.16 deg, 2.784 Å, intensity 100.0; 32.30 deg, 2.772 Å, intensity 51.3; 32.45 deg, 2.759 Å, intensity 96.0; 33.24 deg, 2.696 Å, intensity 17.9; 45.43 deg, 1.996 Å, intensity 41.1; 47.19 deg, 1.926 Å, intensity 35.2; 51.81 deg, 1.765 Å, intensity 25.6; 57.33 deg, 1.607 Å, intensity 22.8; 57.61 deg, 1.600 Å, intensity 16.9; 57.87 deg, 1.593 Å, intensity 21.9

***

[3]
Theoretical X-ray powder pattern
Compound: Eu2MnSbO7
Radiation: a wavelength of 1.5418 Å
Structure: a structure optimized by DFT (GGA+U)
Neutral-atom scattering factors, no anomalous dispersion.

Structural model:
```
data_Eu2MnSbO7
_chemical_formula_sum 'Eu8 Mn4 Sb4 O28'
_cell_length_a 7.373
_cell_length_b 7.398
_cell_length_c 10.396
_cell_angle_alpha 90.00
_cell_angle_beta 90.00
_cell_angle_gamma 90.00
_space_group_name_H-M_alt 'I m m a'
_space_group_IT_number 74
_space_group_name_Hall '-I 2b 2'
loop_
_atom_site_label
+++
Here the piece continues:

f[k_, {x_, r___}, c___] := Join @@ (f[k, {r}, c, #] & /@ 0~Range~Min[x, k - +c])


f[4, {2, 2, 1, 4}]

{{0, 0, 0, 4}, {0, 0, 1, 3}, {0, 1, 0, 3}, {0, 1, 1, 2}, {0, 2, 0, 2},
 {0, 2, 1, 1}, {1, 0, 0, 3}, {1, 0, 1, 2}, {1, 1, 0, 2}, {1, 1, 1, 1},
 {1, 2, 0, 1}, {1, 2, 1, 0}, {2, 0, 0, 2}, {2, 0, 1, 1}, {2, 1, 0, 1},
 {2, 1, 1, 0}, {2, 2, 0, 0}}

请求该code的说明。这是一个递归函数,它采用可变数量的参数。第一个参数是 K ,子集的长度。第二个是每种类型以供选择的计数的列表。第三个参数及以后在内部使用功能保持子集(组合),因为它是构建。

An explanation of this code was requested. It is a recursive function that takes a variable number of arguments. The first argument is k, length of subset. The second is a list of counts of each type to select from. The third argument and beyond is used internally by the function to hold the subset (combination) as it is constructed.


This definition therefore is used when there are no more items in the selection set:

f[k_, {}, c__] := If[+c == k, {{c}}, {}]

如果组合(长度)的值的总和等于 K ,然后返回该组合,否则返回一个空集。 ( + C 的缩写加[C]

If the total of the values of the combination (its length) is equal to k, then return that combination, otherwise return an empty set. (+c is shorthand for Plus[c])


f[k_, {x_, r___}, c___] := Join @@ (f[k, {r}, c, #] & /@ 0~Range~Min[x, k - +c])



Join is used to flatten out a level of nested lists, so that the result is not an increasingly deep tensor.

Misplaced calculated crystals =
-- begin --
Cs13Nb2In6As10: calculated powder diffraction line list (Cu Ka), based on a DFT-relaxed cell (PBE, the Materials Project).

Most intense lines, 2θ from 5° to 70°, sorted by position:
2θ (°)	Rel. int.
20.27	59
25.65	37
26.74	44
28.09	64
28.40	65
28.57	82
28.75	45
29.25	100
29.73	79
32.16	45

Structural model:
```
31
Lattice="9.922 0.000 0.000 4.276 9.012 0.000 2.351 0.746 14.049" Properties=species:S:1:pos:R:3 pbc="T T T"
Cs 0.000 0.000 0.000
Cs 4.272 6.197 9.067
Cs 6.464 5.847 12.854
Cs 4.612 2.096 8.314
Cs 5.922 1.406 12.366
Cs 5.824 3.359 2.406
Cs 8.511 6.953 7.998
Cs 8.038 2.804 6.051
Cs 10.725 6.399 11.643
Cs 10.627 8.352 1.683
Cs 11.937 7.662 5.735
Cs 10.085 3.910 1.195
Cs 12.278 3.560 4.982
Nb 4.994 7.013 3.164
Nb 11.555 2.745 10.885
In 6.064 8.823 5.762
In 2.861 0.650 2.447
In 8.287 6.487 4.122
In 8.262 3.271 9.927
In 13.688 9.107 11.602
In 10.486 0.935 8.287
As 13.461 3.931 11.808
As 3.088 5.827 2.241
As 6.447 9.248 10.485
As 5.713 6.026 5.393
As 6.994 6.893 1.590
As 4.420 0.336 4.897
As 12.129 9.422 9.152
As 9.556 2.865 12.459
As 10.836 3.732 8.656
As 10.102 0.510 3.564
```

ZnGeAs2: calculated powder diffraction line list (Cu Ka), based on a DFT-relaxed cell (PBE, the Materials Project).

Most intense lines, 2θ from 5° to 70°, sorted by position:
2θ (°)	Rel. int.
26.93	100
44.50	25
44.80	49
52.79	30
53.31	15
64.75	8
65.68	4

Structural model:
```
8
Lattice="-2.879 2.879 5.686 2.879 -2.879 5.686 2.879 2.879 -5.686" Properties=species:S:1:pos:R:3 pbc="T T T"
Zn 0.000 0.000 0.000
Zn 0.000 2.879 2.843
Ge 2.879 0.000 2.843
Ge 0.000 0.000 5.686
As 1.440 1.442 -1.422
As 4.317 1.440 1.422
As 1.440 1.437 4.265
As -1.437 1.440 7.108
```

LiCuN: calculated powder diffraction line list (Cu Ka), based on a DFT-relaxed cell (PBE, the Materials Project).

Most intense lines, 2θ from 5° to 70°, sorted by position:
2θ (°)	Rel. int.
22.59	100
31.13	36
38.80	58
44.60	38
46.12	17
50.55	39
56.69	13
64.90	11
66.09	21
69.67	13

Structural model:
```
3
Lattice="2.873 0.000 0.000 0.000 2.873 0.000 0.000 0.000 3.937" Properties=species:S:1:pos:R:3 pbc="T T T"
Li 0.000 0.000 0.000
Cu 1.437 1.437 1.968
N 0.000 0.000 1.968
```

Tb5Co19P12: calculated powder diffraction line list (Cu Ka), based on a DFT-relaxed cell (PBE, the Materials Project).

Most intense lines, 2θ from 5° to 70°, sorted by position:
2θ (°)	Rel. int.
25.72	10
28.49	10
29.81	12
35.63	12
38.77	100
39.78	46
49.60	21
52.92	19
59.73	11
65.39	10

Structural model:
```
36
Lattice="11.987 0.000 0.000 -5.994 10.381 0.000 0.000 0.000 3.676" Properties=species:S:1:pos:R:3 pbc="T T T"
Tb -1.125 1.948 0.000
Tb 2.250 0.000 0.000
Tb 0.000 6.921 1.838
Tb 5.994 3.460 1.838
Tb 4.869 8.433 0.000
Co 0.000 0.000 1.838
Co -3.312 5.737 1.838
Co -4.284 7.420 0.000
Co -1.398 5.022 0.000
Co -2.662 8.301 1.838
Co 0.136 3.925 1.838
Co 1.710 2.961 0.000
Co -0.946 9.081 0.000
Co 3.331 2.080 1.838
Co 2.681 4.644 1.838
Co 5.048 1.300 0.000
Co 2.344 6.659 0.000
Co 6.625 0.000 1.838
Co 2.527 8.536 1.838
Co 4.595 5.360 0.000
-- stop --

F [K,{R},C#]安培; 调用函数,下探选择集的第一个位置( X ),并加入了新的元素组合()。

f[k, {r}, c, #] & calls the function, dropping the first position of the selection set (x), and adding a new element to the combination (#).

/ @ 0〜范围〜敏[X,K - + C])零之间以及每个整数选择的第一个元素的小集,而 K 总组合少,这是可以在不超过组合大小 K 可选择的最大。

/@ 0 ~Range~ Min[x, k - +c]) for each integer between zero and the lesser of the first element of the selection set, and k less total of combination, which is the maximum that can be selected without exceeding combination size k.


